Evangelical isn’t a bad word – at least it doesn’t have to be.
By Daniel Ritchie
Attached: materials data:
<<<
5
Lattice="11.0698 -1.3142 0.0184 11.0698 1.3142 0.0184 10.9100 0.0000 2.2891" Properties=species:S:1:pos:R:3 comment="Mn3Mo2 (PBE, optimized geometry)" spacegroup="R-3m (166)" dos_at_fermi_per_ev_cell=6.68 crystal_system=trigonal de_polymorph_mev_per_atom=128 total_magnetization_mub_per_fu=1.53 pbc="T T T"
Mn 0.0000 0.0000 0.0000
Mn 26.6117 0.0000 1.8729
Mn 6.4379 0.0000 0.4531
Mo 19.7340 0.0000 1.3888
Mo 13.3156 0.0000 0.9371

4
Lattice="-0.7172 0.3696 -2.6822 0.7248 -2.5451 0.9180 -7.9602 -1.5776 1.9109" Properties=species:S:1:pos:R:3 comment="MnMo (PBE, optimized geometry)" spacegroup="P6_3/mmc (194)" dos_at_fermi_per_ev_cell=5.01 crystal_system=hexagonal dft_energy_ev_per_atom=-9.630 total_magnetization_mub_per_fu=1.82 pbc="T T T"
Mn -1.7459 -1.9679 0.1956
Mn -6.2067 -1.7851 -0.0490
Mo 0.0000 0.0000 0.0000
Mo -3.9801 -0.7888 0.9555


# 1
Below is Tm4Tl3Pd after structural relaxation, with properties calculated at the PBE level.

M_tot	0.000	μB/cell
mass density	11171	kg/m³
space-group type	No. 25
offset from the most stable computed form	1.05	kcal/mol of atoms
density of states at the Fermi level	0.772	states/eV/atom

abc: 3.769 4.806 11.453
angles: 90.00 90.00 90.00
Sites, in units of the cell vectors:
Tm1 0.000 0.000 0.000
Tm2 0.000 0.500 0.258
Tm3 0.500 0.000 0.448
Tm4 0.500 0.500 0.770
Tl1 0.000 0.000 0.711
Tl2 0.000 0.500 0.528
Tl3 0.500 0.500 0.035
Pd1 0.500 0.000 0.202

---

# 2
Below is Tm2Tl5Pd12 after structural relaxation, with properties calculated at the PBE level.

M_tot	0.000	μB/cell
mass density	12223	kg/m³
space-group type	No. 12
total DFT energy (no corrections)	-90.04	eV per cell
density of states at the Fermi level	0.366	states/eV/atom

abc: 8.163 8.163 6.038
angles: 95.96 95.96 63.79
Sites, in units of the cell vectors:
Tm1 0.224 0.776 0.000
Tm2 0.776 0.224 0.000
Tl1 0.000 0.000 0.500
Tl2 0.244 0.244 0.522
Tl3 0.339 0.339 0.073
Tl4 0.661 0.661 0.927
Tl5 0.756 0.756 0.478
Pd1 0.037 0.561 0.798
Pd2 0.137 0.137 0.898
Pd3 0.173 0.629 0.401
Pd4 0.371 0.827 0.599
Pd5 0.439 0.963 0.202
Pd6 0.461 0.461 0.723
Pd7 0.539 0.539 0.277
Pd8 0.561 0.037 0.798
Pd9 0.629 0.173 0.401
Pd10 0.827 0.371 0.599
Pd11 0.863 0.863 0.102
Pd12 0.963 0.439 0.202

---

# 3
Below is Tm7Tl2Pd2 after structural relaxation, with properties calculated at the PBE level.

M_tot	0.000	μB/cell
mass density	9571	kg/m³
space-group type	No. 65
total DFT energy (no corrections)	-49.85	eV per cell
density of states at the Fermi level	0.889	states/eV/atom

abc: 6.822 6.822 7.036
angles: 90.00 90.00 107.07
Sites, in units of the cell vectors:
Tm1 0.000 0.000 0.000
Tm2 0.000 0.500 0.252
Tm3 0.000 0.500 0.748
Tm4 0.500 0.000 0.252
Tm5 0.500 0.000 0.748
Tm6 0.500 0.500 0.243
Tm7 0.500 0.500 0.757
Tl1 0.183 0.183 0.500
Tl2 0.817 0.817 0.500
Pd1 0.290 0.710 0.000
Pd2 0.710 0.290 0.000

---

# 4
Below is Tm2TlPd after structural relaxation, with properties calculated at the PBE level.

M_tot	0.000	μB/cell
mass density	11413	kg/m³
space-group type	No. 123
>>>
The following is an opinion piece and does not necessarily reflect the views of The Clarion, its staff or the institution. If you would like to submit a response or an opinion piece of your own, please contact [email protected].
It’s all about Jesus. (As you feared, you can never escape the Children’s Sermon.)
I wasn’t raised in an evangelical denomination like the one that founded Bethel. For a hundred years, my family has served in Presbyterian churches as lay people, elders, pastors and missionaries. But as I hope you remember from CWC or Humanities, that “Christ-transforming-culture” model can easily become captive to the dominant culture. And so it was, that by the ‘70s our particular congregations realized they had more in common with evangelicals of all types than with the progressive Christianity of our denomination’s leaders. We were on the way out.
For me, coming to Bethel after an education in public schools and secular universities was liberating. Bethel faculty must write a faith-learning statement as part of their tenure application. We’re expected to bring our faith to bear on our scholarship and teaching. For me, those requirements to “take every thought captive for Christ” were more challenging and fulfilling than writing the PhD dissertation.
They still are. I know that every student at Bethel struggles with faith at some point – and some even lose their faith. But better far to be in a community where staff and faculty support our stumbling pilgrimage than in an institution that can’t even recognize the journey! Example: we just had Eboo Patel give a compelling convocation address on interfaith cooperation. Months earlier, when Eboo visited my secular, progressive alma mater, he encountered opposition over the very notion that religious identity should be recognized and valued. Who’s the proponent of diversity here?
The word “evangelical” has been injected with poison by the rhetoric of Donald Trump and his supporters. So have “conservative,” “Republican,” and a host of other useful terms. But let’s not pretend that the language and practices surrounding faith were healthy before 2016.
I’ve been a part of congregations that believe in justification by faith, the sufficiency of Christ, the unique triumph of Christ’s crucifixion and resurrection, the final authority of the Bible and the priesthood of all believers. These beliefs, and the habits they give rise to, serve as Mark Noll’s description of the interlinked movements known as pietism and evangelicalism. But as my denominational leaders embraced progressive beliefs, my congregation was excluded from positions of leadership, thwarted in our attempts to serve, and often treated with contempt. It became clear that we needed to leave and find a more evangelical Presbyterian denomination. Our old denominational leaders responded by demanding millions of dollars as we left, and they’re currently trying to bring a sister congregation before the Supreme Court – all because we’d like to continue using our property. I think I understand the vision of “social justice” that motivates their sense of mission. But like the “diversity” of my alma mater and the terms used by Trump, it has become corrupt.
One of the greatest privileges of my life has been to take students to Britain and Egypt, where (among many other things) we encounter Christians who hold to evangelical beliefs like ours. Their practices and habits, however, are often different. This difference is challenging and liberating to us all. Recent theologians have written about the power of the Bible to translate the story of Jesus in amazing, culturally appropriate ways all over the world. That power – whether in scholarship, missions, campus relationships, or personal faith – can survive any corruption we bring. It can bring us to the living presence of Jesus, along with Bethel’s founders and alumni and students yet to come.